From December 12 to 16, Dr. Waheguru Pal Sidhu participated in a Wilton Park Conference titled “The NPT after the 2022 Review Conference” organized by the UK’s Foreign, Commonwealth and Development Office in partnership with several other international agencies. Informally titled ‘Nukes at Christmas,’ and held in the picturesque Wiston House, the annual conference examined the NPT’s evolving geopolitical context, the impact of emerging technologies on the NPT, the role of peaceful uses in advancing the sustainable development goals, and the way forward for disarmament diplomacy.
Dr. Sidhu also co-authored the introduction to the special issue of the Journal for Peace and Nuclear Disarmament titled “China-India-Pakistan Nuclear Trilemma and the Imperative of Risk Reduction Measures.” The special issue includes several essays by leading scholars and practitioners, primarily from China, India and Pakistan, on the various domestic, regional, and global drivers of the trilemma and efforts to address them.
## Attached: data records
'''
VASP calculation (PBE) on crystalline BaGdMgSe3 at its relaxed geometry.

The calculation puts the total energy at -4.68 eV per atom. The crystal system is orthorhombic.

It has space group Cmcm (No. 63), with a = 4.226 Å, b = 14.572 Å, c = 10.960 Å, α = 90.00°, β = 90.00° and γ = 90.00°. The asymmetric unit holds Ba at (0.000, 0.248, 0.250), Gd at (0.000, 0.500, 0.000), Mg at (0.000, 0.032, 0.750), Se at (0.000, 0.137, 0.564) and Se at (0.000, 0.429, 0.750).
'''
## The data records stop here
On December 1, 2022, Professor Trahan participated in teaching an online workshop organized by the Public International Law and Policy Group (PILPG) on the elements of the crimes of genocide, war crimes, crimes against humanity and the crime of aggression. The workshop was designed to assist Ukrainian NGOs. Professor Trahan co-taught, with former ICC President Judge Chile Eboe-Osuji, the session on the elements of the crime of aggression.
Then, on December 6, Professor Trahan spoke in The Hague, Netherlands, as part of a side event during the 21st Session of the Assembly of States Parties of the International Criminal Court (ICC). The panel on which she spoke was entitled "The ICC and the Crime of Aggression: In Defense of the Rules-Based International Order," co-hosted by Belgium, Estonia, Liechtenstein, Luxembourg, and the Global Institute for the Prevention of Aggression.
Finally, on December 15, Professor Trahan participated in an online panel on a "Special Tribunal on the Crime of Aggression against Ukraine: where are we now?" The panel, which also featured the Ukrainian Ambassador-at-Large Anton Korynevych, Ambassador Hans Corell, and Ambassador David J. Scheffer, was co-organized by the Ukrainian Bar Association, the Global Accountability Network, the International Section of the NY State Bar Association, and the Robert H. Jackson Center.
The Global Institute for the Prevention of Aggression, of which Professor Trahan serves as Convenor, also issued a Statement calling on States Parties to the ICC's Rome Statute to remove the restrictions on the ICC's jurisdiction over the crime of aggression.